International Standards and Regional Regulations
CONTENT Introduction Standards versus Regulations Situation of European technical committee CEN/TC 12 Developping standards in CEN/TC 12 European Regulations Conclusion G. Trican, Neftegazstandard in St-Petersburg, Sept. 2012
Standards versus Regulations European Standards are developped, following CEN rules and principles, by achieving a CONSENSUS at European level, gathering expertise from the main STAKEHOLDERS, in particular manufacturers, users and end-users. Of course, experts from Regulators are welcome. Use of standards is volontary. ~~~~~~~~~~~~~~~~~~~~~~~~~~~~~~ Regulations are written by a given Authority and do not require consensus. A Regulation is mandatory. N. B. : An Authority can decide that a particular standard becomes mandatory. It is then part of the Regulations. G. Trican, Neftegazstandard in St-Petersburg, Sept. 2012
SITUATION OF CEN/TC 12 CEN/TC 12 is, in the global standardisation system, a regional « daughter committee » to ISO/TC 67 which is worldwide the « mother committee ». In a similar fashion in Middle-East, GSO/TC 7 is another « daughter committee » of ISO/TC 67. Within CEN and CENELEC, there are a number of other technical committees having interfaces with CEN/TC 12, such as CEN/TC 282 for LNG equipment, ECISS/TC 110 for tubular products, CEN/TC 234 for gas infrastructure, etc. As well as many technical committees dealing with generic products (i.e. non specific to the oil and gas industry) such as CEN/TC 147 dealing with all sorts of cranes. G. Trican, Neftegazstandard in St-Petersburg, Sept. 2012
CEN/TC 12 SCOPE AND GOAL TITLE: Materials, equipment and offshore structures for petroleum, petrochemical and natural gas industries SCOPE: CEN/TC 12 scope is nearly identical to ISO/TC 67 scope, but excludes what is covered by CEN/TC 234. NOTES : a) The standardization within CEN/TC 12 is to be achieved wherever possible by collaboration with ISO/TC 67. b) National adoption of each one of CEN/TC 12 standards is mandatory in each one of the 31 member countries. MOTTO : GLOBAL STANDARDS USED LOCALLY WORLDWIDE
CEN/TC 12 Ad-Hoc groups AH 4 : Parallel voting for ISO/CEN standards AH 6 : Environmental aspects AH 8 : Collaboration in standardization between CEN and EASC AH 9 : Study on harmonizing standards (established in February 2012 during last CEN/TC 12 plenary to study the feasibility of proposing standards for harmonization under open mandates, e.g. Machinery Safety Directive; Pressure Equipment Directive…) G. Trican, Neftegazstandard in St-Petersburg, Sept. 2012
### Inserted here: data records
~~~
ORCA calculation (the ωB97M-V functional and the def2-TZVPD basis) on C4H7N3 in the gas phase.

Values from the calculation:
LUMO	0.5	eV
maximum force	6.9	eV Å⁻¹
energy relative to the best compared isomer or geometry (same formula, charge and spin)	105.22	kcal per mole
HOMO-LUMO gap	8.991	eV

XYZ file:
```
14
C4H7N3 (the ωB97M-V functional and the def2-TZVPD basis)
C -1.124 -0.929 0.736
C 0.013 1.381 0.185
C -0.395 -0.020 -0.217
C 0.797 -0.588 -1.040
N 0.838 1.534 1.091
N -1.117 0.977 -0.855
N 1.852 -1.061 -0.495
H 1.461 2.342 0.991
H -0.826 1.415 -1.725
H 1.817 -0.919 0.526
H 0.653 -0.634 -2.128
H -0.512 -1.780 1.048
H -1.437 -0.411 1.645
H -2.021 -1.307 0.239
```

~~~~~

Here is a molecular structure, C25H37AsBrN2Si3Ti from the OMol25 dataset. Energies are from ωB97M-V with the def2-TZVPD basis set.

Summary:
- ΔE to the lowest compared entry with this formula, charge and spin (eV) = 0.719
- net charge = +3
- HOMO level (eV) = -16.97
- total energy (eV) = -207110.183
- orbital gap (eV) = 6.239

Geometry (Å):
Ti -0.1850 0.6702 0.4260
Br -1.2325 1.9356 -1.6060
C -0.1764 0.8895 -2.8954
C -0.3053 1.1678 -4.2252
C 0.3718 0.3577 -5.1523
C 1.0999 -0.7176 -4.7237
C 1.2437 -1.0010 -3.3498
C 1.9753 -2.1209 -2.9086
C 2.1123 -2.3875 -1.5722
C 1.5419 -1.5226 -0.6246
C 0.8001 -0.4139 -0.9913
C 0.6189 -0.1565 -2.3781
H -0.9265 1.9762 -4.5796
H 0.2876 0.5772 -6.2039
H 1.5724 -1.3759 -5.4351
H 2.4105 -2.7669 -3.6555
H 2.6451 -3.2665 -1.2484
H 1.6831 -1.7511 0.4351
N -4.4239 -4.5845 3.3466
C -3.7159 -3.8380 2.8485
C -2.8494 -2.8742 2.2657
C -3.3181 -1.9748 1.3020
C -2.4703 -0.9863 0.8418
N -1.2002 -0.8607 1.2660
C -0.7359 -1.7619 2.1498
C -1.5161 -2.7690 2.6785
H -4.3304 -2.0492 0.9378
H -2.8410 -0.2633 0.1092
H 0.3033 -1.6450 2.4497
H -1.1105 -3.4531 3.4070
C 2.2337 -0.4851 4.4621
Si 1.2358 1.0898 4.0530
C 1.8529 2.6100 5.0001
C -0.6805 0.8840 4.1212
As 1.7818 1.3775 1.6232
Si 1.0820 3.6902 1.2302
C 1.8843 5.0389 2.2994
C 1.3988 3.9057 -0.6496
C -0.7932 3.5284 1.6516
Si 4.3091 0.9407 0.9597
C 5.1249 2.1754 2.1619
C 4.5716 -0.9115 1.3469
C 4.2549 1.3922 -0.8940
H 1.9968 -0.8663 5.4509
H 3.2947 -0.2451 4.4656
H 2.0869 -1.2982 3.7537
H 1.7857 2.4454 6.0712
H 1.2738 3.5014 4.7869
H 2.8948 2.8224 4.7785
H -0.9646 -0.0801 4.5360
H -1.1702 0.9850 3.1452
H -1.1178 1.6385 4.7737
H 2.8087 4.7218 2.7737
H 1.2126 5.3860 3.0783
H 2.1165 5.9045 1.6846
H 2.2832 4.5208 -0.8042
H 0.5791 4.4331 -1.1354
H 1.5636 2.9516 -1.1670
H -0.9579 3.6978 2.7149
H -1.2164 2.5323 1.3929
H -1.3814 4.2798 1.1305
H 5.1618 1.7645 3.1705
H 4.5778 3.1189 2.1878
H 6.1495 2.3950 1.8697
H 3.7036 -1.3482 1.8356
H 5.4220 -1.0487 2.0083
H 4.7871 -1.4768 0.4456
H 4.2418 2.4708 -1.0327
H 3.3880 0.9537 -1.3933
H 5.1424 1.0253 -1.4030



Here is a molecular structure, C25H37ClIN3O7SSiY from the OMol25 dataset. Energies are from ωB97M-V with the def2-TZVPD basis set.

Summary:
- ΔE to the lowest compared entry with this formula, charge and spin (eV) = 0.000
- net charge = -1
- HOMO level (eV) = -5.50
~~~
CEN/TC 12 WORK PROGRAM Presently 63 Work Items in progress Already published standards: 136 EN ISO (Identical) published standards + 6 EN (ISO modified) standards (exclusion of gas infrastructure industries)
DEVELOPPING STANDARDS In accordance with the Vienna Agreement between ISO and CEN, our standards are developped within ISO/TC 67 working groups, with a strong presence of European experts from the very beginning of the project, and often before the New Work Item is proposed. One of these European experts is the EPL (European Project Leader) working side by side with the ISO Project leader. It is important that the very initial draft includes European views on the subject, so that standard work can start in the right direction. During this parallel work, there are separate ballots (one at ISO level, and one at CEN level) at every phase, to guarantee that there is a real consensus in both systems. Following a final vote, a standard is then ready to be published in ISO, and adopted in Europe. G. Trican, Neftegazstandard in St-Petersburg, Sept. 2012
European Project Leader (EPL) The « EPL manual » clearly defines role and responsibilities of the EPL : Ensuring that both Environmental aspects and Regulatory aspects of the project have been checked. Making sure there are no contradiction with any applicable Directive is the main present task of an EPL. Demonstrating that the EN ISO project is in full compliance with all the requirements of any applicable Directive has not yet been expected from an EPL, but would be in the future. A specific “European Annex” can be drafted within an ISO standard to fit the needs of European stakeholders/regulators. European annex of ISO 3183 (Line Pipe) is a good example. G. Trican, Neftegazstandard in St-Petersburg, Sept. 2012
European Regulations (in particular European Directives) Following ‘recent industry events’, intense work has been performed by the Oil & Gas industry, in particular with OGP. European Regulators (i.e. European Commission) have launched a number of actions, and in particular a Draft Mandate requesting a ‘programme of Harmonised Standards (i.e. in full compliance with a Directive)’ has been issued in September 2011, and commented. A revised Mandate is now in preparation in Brussels. For CEN/TC 12, this can be useful if there is an added value for Safety, but it is important that the present coherent set of EN ISO standards giving technical integrity is not jeopardised by modifications linked with harmonising. More generally, a new European Regulation on safety of offshore oil and gas prospection, exploration and production activities will have to be integrated. G. Trican, Neftegazstandard in St-Petersburg, Sept. 2012
Working with Regulations Willingness to comply with present and future Regulations : EPL Manual Commitment to Safety and Health by ensuring interoperability of the equipment and materials beyond regional or local particularism. Acknowledging that a global industry needs global standards : using different equipments from one region to the next could increase risks for workers and their environnment. Recognising the commitment of CEN/TC 12 stakeholders to work together with Regulatory authorities and endorsing the work already done for many decades: One way forward : Adding when needed European annexes to existing standards in order to demonstrate compliance to all relevant Directives requirements. G. Trican, Neftegazstandard in St-Petersburg, Sept. 2012
CONCLUSION Participation of regional experts from the main stakeholders is paramount to the success of regional standards, and their recognition as useful documents by Regulators. CEN/TC 12 is willing to share with you its experience of over more than 20 years on these processes. Next plenary meeting of CEN/TC 12 will be held in Vienna (Austria) on the 7th and 8th of February, As every year, a number of issues will be discussed. Several of them are linked to recent developments in ISO work, and to regulations. G. Trican, Neftegazstandard in St-Petersburg, Sept. 2012